
Keeping Your Health Tank Full

A while back, one of my patients fell suddenly, unexpectedly, and very seriously ill. One day he was fine, the next day he felt like he had been hit by a truck: body and joint aches, exhaustion, high fever, pounding migraine.  A day later he was admitted to the hospital, and stayed there for a few days "in the woods" with classic markers of a vicious virus, including elevated liver enzymes and decreased white blood cells (these are the soldiers that comprise the front lines of battle; the decrease in WBC count meant that they were being killed off quickly by something highly pathogenic). He told me that the MDs said there was not a lot they could do for this unknown virus, other than basic supportive care, and that his body would have to handle it.  He was kept and monitored for several days and began improving on his own, then when he stabilized enough, he was sent home to convalesce, with an anticipated long recovery. 

If my patient had not already been quite healthy prior to encountering this strong pathogen, how might this virus have affected him? What if his Health Tank was depleted when he was handed this health challenge, a potentially deadly virus, out of the blue? What if he was chronically stressed, a workaholic at a job he hated, never exercising, eating whatever was fast and convenient, and experiencing unresolved underlying health issues such as vertebral subluxation (which diminishes the body's ability to adapt to challenge) or chronic inflammation (which presents as heart disease, cancer, arthritis, fibromyalgia, or autoimmune disorders like rheumatoid arthritis or Crohn's disease)? Would his body have been in a strong enough position to mount a defensive immune system response against that virus? Or, might his body have failed him? 

The concept of a "Health Tank" is something you can use to explore the difference between choices that make us healthier, and choices that make us sicker, and the concept of the health reserve we should maintain "just in case." You could think of this simply, like asking yourself as you are about to chomp into that donut: is this going to fill my Health Tank, or deplete it? Or taking the stairs rather than the elevator. Which one fills the tank, which depletes it? At the grocery store, you can use this analogy to make deliberate choices. Every day, when you are deciding between exercise and couch surfing, think about the long-term effects of your decision and its impact on how full your Health Tank will be.  When you're up late at night, deciding whether to get to bed or to binge-watch just one more episode...  that's a choice that has implications for your Health Tank. 

Diffraction record for LiFeP4O12. The powder diffractogram is theoretical, not measured: it uses the PBE+U geometry in the Materials Project and Cu Ka.

The 12 most intense peaks (2θ = 10–80°), sorted by position:
| Position (°2θ) | I (rel.) |
| --- | --- |
| 12.9 | 86 |
| 18.8 | 100 |
| 19.6 | 32 |
| 25.5 | 52 |
| 25.6 | 87 |
| 26.8 | 15 |
| 28.1 | 31 |
| 30.7 | 35 |
| 31.7 | 12 |
| 32.6 | 18 |
| 37.0 | 14 |
| 48.2 | 14 |

Atomic structure:
```
LiFeP4O12
1.0
7.537 -4.011 0.000
7.537 4.011 0.000
-4.284 0.000 8.100
Li Fe P O
2 2 8 24
Direct
0.000 0.000 0.000
0.000 0.000 0.500
0.337 0.663 0.750
0.663 0.337 0.250
0.052 0.649 0.896
0.294 0.424 0.363
0.351 0.948 0.604
0.424 0.294 0.863
0.576 0.706 0.137
0.649 0.052 0.396
0.706 0.576 0.637
0.948 0.351 0.104
0.012 0.785 0.057
0.095 0.726 0.800
0.126 0.395 0.214
0.209 0.579 0.506
0.215 0.988 0.443
0.219 0.431 0.912
0.274 0.905 0.700
0.395 0.126 0.714
0.405 0.459 0.297
0.421 0.791 0.994
0.431 0.219 0.412
0.459 0.405 0.797
0.541 0.595 0.203
0.569 0.781 0.588
0.579 0.209 0.006
0.595 0.541 0.703
0.605 0.874 0.286
0.726 0.095 0.300
0.781 0.569 0.088
0.785 0.012 0.557
0.791 0.421 0.494
0.874 0.605 0.786
0.905 0.274 0.200
0.988 0.215 0.943
```

***

Diffraction record for Li5Fe7O3F13. The powder diffractogram is theoretical, not measured: it uses the PBE+U geometry in the Materials Project and Cu Ka.

The 12 most intense peaks (2θ = 10–80°), sorted by position:
| Position (°2θ) | I (rel.) |
| --- | --- |
| 17.4 | 100 |
| 17.8 | 62 |
| 33.8 | 24 |
| 33.8 | 18 |
| 34.4 | 35 |
| 41.2 | 42 |
| 41.4 | 81 |
| 54.4 | 11 |
| 58.9 | 14 |
| 59.7 | 26 |
| 60.0 | 23 |
| 61.1 | 11 |

Atomic structure:
```
Li5Fe7O3F13
1.0
5.373 -3.035 0.000
5.373 3.035 0.000
-3.493 0.000 10.224
Li Fe O F
5 7 3 13
Direct
0.000 0.000 0.000
0.408 0.408 0.124
0.515 0.515 0.480
0.927 0.927 0.625
0.968 0.968 0.301
0.208 0.208 0.556
0.462 0.963 0.805
0.465 0.465 0.805
0.499 0.916 0.300
0.710 0.710 0.053
0.916 0.499 0.300
0.963 0.462 0.805
0.122 0.122 0.692
0.598 0.598 0.169
0.801 0.801 0.918
0.080 0.603 0.194
0.094 0.094 0.198
0.103 0.589 0.680
0.316 0.316 0.425
0.323 0.830 0.924
0.338 0.849 0.424
0.348 0.348 0.926
0.575 0.575 0.678
0.589 0.103 0.680
0.603 0.080 0.194
0.830 0.323 0.924
0.849 0.338 0.424
0.854 0.854 0.432
```

***

Diffraction record for Li9Mn7O16. The powder diffractogram is theoretical, not measured: it uses the PBE+U geometry in the Materials Project and Cu Ka.

The 12 most intense peaks (2θ = 10–80°), sorted by position:
| Position (°2θ) | I (rel.) |
| --- | --- |
| 18.3 | 100 |
| 34.0 | 18 |
| 36.2 | 24 |
| 40.9 | 35 |
| 44.2 | 55 |
| 46.9 | 10 |
| 58.2 | 9 |
| 61.6 | 18 |
| 62.0 | 16 |
| 63.7 | 11 |
| 64.8 | 7 |
| 79.6 | 7 |

Atomic structure:
```
Li9Mn7O16
1.0
5.845 0.000 0.000
0.000 5.753 0.000
-0.080 0.000 8.825
Li Mn O
9 7 16
Direct
0.000 0.000 0.000
0.000 0.000 0.500
0.000 0.500 0.000
0.248 0.246 0.741
0.248 0.754 0.741
0.500 0.000 0.500
0.500 0.500 0.500
0.752 0.246 0.259
0.752 0.754 0.259
0.000 0.500 0.500
# So much for the crystal structures

What else is important for your Health Tank?  Several basic foundational elements to think about are nutrition, sleep, exercise, hydration, stress management, and maintenance of the physical structure / frame of your body.  Don’t forget that your spine houses and protects your nervous system, which is analogous to the computer, circuit breaker, and wiring that monitors and controls the house that is your body (including your immune system!) Getting your spine checked regularly and adjusted as necessary to correct or reduce vertebral subluxations (abnormal position or movement in your spine that impact the function of your nervous system) is preventative maintenance.  It’s a tune-up that's kind of like defragmenting a hard drive, or rebooting apps that are hung up.  It just helps the system to run better and to be more adaptable to challenge.  Further, in a structural sense, if a person is not getting adjusted to reduce or correct the vertebral subluxations acquired from daily micro-traumas and macro-traumas like falls or accidents, their spine may be deteriorating, much like teeth would decay without regular dental hygiene. (Think of the Tin Man from the Wizard of Oz!)  If, however, a person takes great care of his or her spine, it is in a continual state of repair and regeneration. With everything you do, you will either fill or deplete your Health Tank. That's your choice. And you should note that the avoidable consequences are yours, too.

So, is your "health tank" full enough that if you were to encounter a serious threat or challenge to your well being or survival, that you would have the reserves to surmount the challenge? And remember that health is not just about feeling good - it's about enjoying physical, emotional, and social well-being and a high level of function. It's about your body's ability to adapt to environmental challenges, which requires optimal activity of all of your body systems, most importantly the nervous system that governs your body (and executes you body’s adaptation to change). How would you measure your adaptive capacity, and who can help you with that? And how does that impact your "health tank"? If your nervous system function is compromised in any way, your health tank is depleted. It's as simple as that. That's why I get *my* spine checked and adjusted regularly to correct or reduce the vertebral subluxations that I acquire in daily life. Because while I can certainly be accused of allowing my car's gas tank to ride right down to the E, I will not do that with my body. Getting stranded by running out of gas is usually an easily fixed inconvenience; getting caught with a depleted or empty health tank certainly might have different consequences.

How do you solve the problem of a Health Tank that's on "low?" Who guides you to make choices for your own betterment, who helps you to take care of your body so that you CAN move, sleep, walk, adapt?  Do you have someone in your "corner" who knows their stuff, can listen to you carefully and give you appropriate options and advice about movement, exercise, body position, nutrition, stress management? 

My patient with the virus ended up recovering strongly.  He had a full health tank at the time he encountered the pathogen that attacked his system. His health habits included (and still do) eating very well, exercising, stress management, hydration, adequate sleep, taking time to do things he loves, and he gets his spine checked for subluxations every other week (that's the frequency we've agreed is right for him) and cleared out as appropriate, which helps his body to adapt to all of the challenges in his life.  His objective testing (HRV, sEMG, and others) consistently indicated that his body was resilient and adapting well.  So, his body was as ready as it could be to handle the vicious virus that invaded, and he successfully overcame it.  He is currently back doing the things he loves - enjoying time with his wife, son, and rambunctious dog, and incessantly teasing me every other week about enjoying the sound his spine makes during his adjustment.  (Longstanding healthy doctor-patient banter!)  I'd hate to think how that story would have gone had he NOT had a full health tank - the impact on his family and community, and their future.  

The bottom line is that the time to be as healthy as possible is NOW, not when you can "make time" to make those pesky changes you know you need to make. I'm happy to support you in this mission, and I aim to encourage you to stay on task by constantly presenting you with new information and challenges that help you to think about the health decisions you make every day. Information is power, and my goal is to empower you.  One of my patients, an energetic and brilliant woman about my age, recently remarked to me that besides my chiropractic care and my terrible sense of humor, she loves coming in to see me because I give her the information and inspiration that she doesn't get anywhere else, something that is of value to her.  Perhaps that would be of value to you and your Health Tank.

You've got plenty of choices available to you as you're looking for someone to support your goal of betterment.  Only you can choose what resonates with your goals!  The first step is to clearly identify those goals.  How full is YOUR Health Tank?  If it's not full, what's the solution?

Imagine a future where you KNOW your body is strong, and you KNOW your body can handle what you throw at it - whether it's climbing a mountain or overcoming a bug that's inevitably sweeping the globe.  Doesn't the concept of a "Health Tank" seem pretty relevant, viewed in that light?  My goal for all of my patients is better-faster-stronger-adaptable-resilient  (And we measure each of those improvements individually...  that's a different blog!) and with a Health Tank full enough to handle the challenges that are inevitable in life.

-- Materials data, kept here for reference --
(1)
Diffraction record for Ba10Re6CO30. The powder XRD pattern is theoretical, not measured: it uses a structure optimized by DFT (GGA-PBE) and CuKα.

Principal peaks in the range 15° ≤ 2θ ≤ 90°, in order of rising 2θ:
(2 -1 1), d 4.548, intensity 261; (0 0 2), d 3.962, intensity 338; (2 1 1), d 3.305, intensity 1000; (1 1 2), d 3.225, intensity 997; (3 0 0), d 3.207, intensity 937; (4 -1 1), d 2.529, intensity 345; (4 -2 2), d 2.274, intensity 289; (3 -1 3), d 2.137, intensity 266; (4 2 1), d 1.772, intensity 260; (5 0 2), d 1.730, intensity 230

Structure:
```
data_Ba10Re6CO30
_space_group_name_H-M_alt 'P 3 1 m'
_space_group_IT_number 157
_cell_length_a 11.1080
_cell_length_b 11.1080
_cell_length_c 7.9234
_cell_angle_alpha 90.00
_cell_angle_beta 90.00
_cell_angle_gamma 120.00
loop_
_space_group_symop_operation_xyz
'x,y,z'
'-y,x-y,z'
'-x+y,-x,z'
'y,x,z'
'x-y,-y,z'
'-x,-x+y,z'
loop_
_atom_site_label
_atom_site_fract_x
_atom_site_fract_y
_atom_site_fract_z
Ba1 0.0000 0.2690 0.0000
Ba2 0.0000 0.7314 0.4835
Ba3 0.3333 0.6667 0.2493
Ba4 0.3333 0.6667 0.7494
Re1 0.0000 0.3884 0.5442
Re2 0.0000 0.6118 0.0423
C1 0.0000 0.0000 0.2415
O1 0.0000 0.2933 0.3660
O2 0.0000 0.7100 0.8669
O3 0.1306 0.5552 0.0041
O4 0.1309 0.5753 0.5052
O5 0.1316 0.3853 0.6859
O6 0.1321 0.7442 0.1862
```

(2)
Diffraction record for HfMg. The powder XRD pattern is theoretical, not measured: it uses a structure optimized by DFT (GGA-PBE) and CuKα.

Principal peaks in the range 15° ≤ 2θ ≤ 90°, in order of rising 2θ:
(1 1 1), d 3.305, intensity 1000; (2 0 0), d 2.862, intensity 939; (2 2 0), d 2.024, intensity 701; (3 1 1), d 1.726, intensity 481; (2 2 2), d 1.653, intensity 247; (4 0 0), d 1.431, intensity 115; (3 3 1), d 1.313, intensity 198; (4 2 0), d 1.280, intensity 316; (4 2 2), d 1.169, intensity 238; (5 1 1), d 1.102, intensity 161

Structure:
```
data_HfMg
_space_group_name_H-M_alt 'F m -3 m'
_space_group_IT_number 225
_space_group_name_Hall '-F 4 2 3'
_cell_length_a 5.7246
_cell_length_b 5.7246
_cell_length_c 5.7246
_cell_angle_alpha 90.00
_cell_angle_beta 90.00
_cell_angle_gamma 90.00
loop_
_atom_site_label
_atom_site_fract_x
_atom_site_fract_y
_atom_site_fract_z
Hf1 0.0000 0.0000 0.0000
Mg1 0.0000 0.0000 0.5000
```

(3)
Diffraction record for PmTmAl2. The powder XRD pattern is theoretical, not measured: it uses a structure optimized by DFT (GGA-PBE) and CuKα.

Principal peaks in the range 15° ≤ 2θ ≤ 90°, in order of rising 2θ:
(2 0 0), d 3.629, intensity 613; (2 2 0), d 2.566, intensity 1000; (2 2 2), d 2.095, intensity 187; (4 0 0), d 1.814, intensity 178; (4 2 0), d 1.623, intensity 253; (4 2 2), d 1.481, intensity 367; (4 4 0), d 1.283, intensity 114; (6 0 0), d 1.210, intensity 120; (6 2 0), d 1.148, intensity 162; (6 2 2), d 1.094, intensity 75

Structure:
```
data_PmTmAl2
_space_group_name_H-M_alt 'F m -3 m'
_space_group_IT_number 225
_space_group_name_Hall '-F 4 2 3'
_cell_length_a 7.2577
_cell_length_b 7.2577
_cell_length_c 7.2577
_cell_angle_alpha 90.00

I hope your Health Tank is full, and I hope you are never tested like my patient was - by a virus, or by some other health obstacle.  That said, if you feel like your tank needs a refill, what I will do is lead you to that place, to help you to create the "space" you want to be in and to help you make the choices that create a future where you are resilient and adaptable (...and what I *won't* do is make you wait an hour in my waiting area or prescribe you a laundry list of pills that you don't want to take!)  If the possibility of refilling your Health Tank and enhancing your adaptability and resilience resonates with you, drop us a line or give a call and let's start a conversation about getting you the help you need and want, to strengthen the life you love.